Configuring a BART Server v9

You can use the Create–BART server dialog to register an existing BART server with the PEM server. To access the dialog, right-click on the BART Servers node and select Create-BART Server.

Create-BART server dialog - General tab

Use the fields on the General tab to describe the general properties of the BART Server:

  • Use the Agent Name field to select the agent that you want to configure as a BART server. Only those PEM agents that are supported for BART are listed in the drop-down list.

  • Use the Server Name field to specify a user-friendly name for the server. The name specified will identify the server in the Browser tree.

Between two parts of the entry: records of crystals:
Below is a relaxed NaCoPO crystal, with properties calculated at the PBE+U level.

Lattice parameters (Å, degrees): 3.4100 6.6782 5.1881 90.00 90.00 90.00
Space group Pmc2_1 (No. 26)
Unique sites:
Na: 0.0000 0.1477 0.0000 x2
Co: 0.5000 0.2036 0.4946 x2
P: 0.0000 0.4360 0.4859 x2
O: 0.5000 0.0040 0.7494 x2

Magnetic moment = 2.28 μB/f.u.
VASP energy = -4.707 eV per atom
Calculated density = 3.62 g/cm3

* * * * *

Entry 1:
Compound: Sc4In3Mo2C3
Source: OQMD via LeMat-Bulk
Functional: GGA-PBE
Structure: relaxed

Cell lengths 5.6577, 5.6578, 14.8755 Å; angles 100.77, 90.31, 119.61 degrees
Last column: nearest neighbours and their distance in Å.
Fractional coordinates of all 24 atoms:
1 C 0.3417 0.1837 0.0000  2 Mo 2.10-2.11, 4 Sc 2.28
2 C 0.0000 0.5000 0.0000  2 Mo 2.09, 4 Sc 2.28-2.29
3 C 0.6583 0.8163 0.0000  2 Mo 2.10-2.11, 4 Sc 2.28
4 C 0.8163 0.1582 0.4999  2 Mo 2.10-2.11, 4 Sc 2.28
5 C 0.5000 0.5000 0.5000  2 Mo 2.09, 4 Sc 2.28-2.29
6 C 0.1837 0.8418 0.5001  2 Mo 2.10-2.11, 4 Sc 2.28
7 In 0.7259 0.6678 0.2480  2 In 3.01, 4 Sc 3.09-3.11, 2 Mo 3.14-3.16
8 In 0.1146 0.3646 0.2500  2 In 3.01, 4 Sc 3.08-3.09, 2 Mo 3.12
9 In 0.4198 0.9779 0.2520  2 In 3.01, 4 Sc 3.09-3.11, 2 Mo 3.14-3.16
10 In 0.5802 0.0221 0.7480  2 In 3.01, 4 Sc 3.09-3.11, 2 Mo 3.14-3.16
11 In 0.8854 0.6354 0.7500  2 In 3.01, 4 Sc 3.08-3.09, 2 Mo 3.12
12 In 0.2741 0.3322 0.7520  2 In 3.01, 4 Sc 3.09-3.11, 2 Mo 3.14-3.16
13 Mo 0.3480 0.5467 0.0698  3 C 2.09-2.11
14 Mo 0.4769 0.7782 0.4302  3 C 2.09-2.11
15 Mo 0.5231 0.2218 0.5698  3 C 2.09-2.11
16 Mo 0.6520 0.4533 0.9302  3 C 2.09-2.11
17 Sc 0.0388 0.8999 0.0855  3 C 2.28
18 Sc 0.6949 0.2137 0.0857  3 C 2.28-2.29
19 Sc 0.1281 0.1092 0.4143  3 C 2.28-2.29
20 Sc 0.8144 0.4533 0.4145  3 C 2.28
21 Sc 0.1856 0.5467 0.5855  3 C 2.28
22 Sc 0.8719 0.8908 0.5857  3 C 2.28-2.29
23 Sc 0.3051 0.7863 0.9143  3 C 2.28-2.29
24 Sc 0.9612 0.1001 0.9145  3 C 2.28

Properties
For the final energy, the calculation gives -7.394 eV/atom. As for the space group: C2/c. The density comes out at 6.2 g cm⁻³.


Entry 2:
Compound: NaScGa4Pt2
Source: OQMD via LeMat-Bulk
Functional: GGA-PBE
Structure: relaxed

Cell lengths 6.7805, 5.3607, 5.3607 Å; angles 46.46, 90.00, 90.00 degrees
Last column: nearest neighbours and their distance in Å.
Fractional coordinates of all 8 atoms:
1 Ga 0.2004 0.3669 0.3669  3 Pt 2.58-2.61, 2 Ga 2.71-2.72
2 Ga 0.7996 0.3669 0.3669  3 Pt 2.58-2.61, 2 Ga 2.71-2.72
3 Ga 0.2993 0.6332 0.6332  3 Pt 2.58-2.61, 2 Ga 2.71-2.72
4 Ga 0.7007 0.6332 0.6332  3 Pt 2.58-2.61, 2 Ga 2.71-2.72
5 Na 0.0000 0.0792 0.0792  3 Pt 2.80-3.00, 4 Ga 2.98
6 Pt 0.5000 0.2052 0.2052  6 Ga 2.58-2.61, 1 Sc 2.81
7 Pt 0.0000 0.7954 0.7954  6 Ga 2.58-2.61, 1 Na 2.80
8 Sc 0.5000 0.9202 0.9202  3 Pt 2.81-2.99, 6 Ga 2.98-3.14

Properties
For the final energy, the calculation gives -4.632 eV/atom. As for the space group: Amm2. The density comes out at 8.7 g cm⁻³.


Entry 3:
Compound: PrTaO3
Source: OQMD via LeMat-Bulk
Functional: GGA-PBE
Structure: relaxed

  • Use the Host field to specify the IP address of the host or agent where BART is installed.

  • Use the User field to specify the user name that will be used for performing all the BART operations. You can either use the enterprisedb (for Advanced Server) or postgres (for PostgreSQL) database user account or you can create a new BART user account. This user must be an operating system user who owns the BART backup catalog directory.

  • Use the Installation path field to specify the directory path where BART is installed on the host or BART server.

  • Use the Backup path field to specify the file system parent directory where all BART backups and archived WAL files will be stored.

  • Use the pg_basebackup_path field to specify the path to the pg_basebackup utility.

  • Use the Xlog/WAL method field to specify how the transaction log should be collected during the execution of pg_basebackup. The default option is fetch; it specifies that the transaction log files will be collected after the backup has completed. Set the Xlog method to stream to stream the transaction log in parallel with the full base backup creation. If streaming is used, the max_wal_senders configuration parameter in the postgresql.conf file for affected database servers must account for an additional session for the streaming of the transaction log (the setting must be a minimum of 2).

    For more information about Xlog method, see:

  • Use the Retention policy field to specify the retention policy for the backup. This determines when an active backup should be marked as obsolete, and hence, be a candidate for deletion. You can specify the retention policy in terms of number of backup or in terms of duration (days, weeks, or months).

  • Use the Log file field to specify the path to BART log file. This is an optional field.

Create-BART server dialog - Misc tab

Use the fields on the Misc tab to describe the backup-related properties of the BART Server:

  • Use the Scanner log file field to specify the path to the Xlog/WAL scanner log file. This is an optional field; BART does not create a WAL scanner log file if you do not specify the path.
  • Use the Socket dir path field to specify the path to the socket directory where all BART sockets will be stored. The default directory is /tmp. This parameter is added from BART version 2.5.2 onwards.
  • Use the Socket name field to specify a user-friendly BART socket file name. Using this option overrides the default BART socket name generated using MD5 checksum. This parameter is added from BART version 2.5.6 onwards.
  • Use the WAL compression? switch to specify if you want to compress the archived Xlog/WAL files in Gzip format. To enable WAL compression, the gzip compression program must be present in the BART user account’s PATH. The WAL compression setting must not be enabled for those database servers where you need to take incremental backups.
  • Use the Copy WALs during restore? field to specify how the archived WAL files are collected when invoking the RESTORE operation. Set to enabled to copy the archived WAL files from the BART backup catalog to the restore_path/archived_wals directory prior to the database server archive recovery. Set to disabled to retrieve the archived WAL files directly from the BART backup catalog during the database server archive recovery. Enabling this option helps you save time during the restore operation.
  • Use the Thread count field to specify the number of worker threads for copying blocks or data files from the database server to the BART backup catalog. Specify a thread count of 1 if you want to take the backup using the pg_basebackup utility.
  • Use the Batch size field to specify the number of blocks of memory used for copying modified blocks. This is applicable only for incremental backups.
  • Use the scan interval field to specify the number of seconds after which the WAL scanner should scan the new WAL files.
  • Use the MBM scan timeout field to specify the number of seconds to wait for MBM files before timing out. This is applicable only for incremental backups.
  • Use the Workers field to specify the number of parallel worker processes required to stream the modified blocks of an incremental backups to the restore host.